here are 10 youtube channels with the largest subscriptions (subscriptions) available, not including channels created by youtube.

Next to the entry, the page also holds quantum chemistry results
/*
ORCA calculation (wB97M-V/def2-TZVPD) on a cluster of 3 separate species, ClN2O10 in total in a non-equilibrium geometry.

Cartesian coordinates (Å):
O -1.84 4.56 0.49
O -2.02 2.61 1.13
O -0.65 -0.87 -1.60
O -0.18 3.51 1.60
O 3.27 -3.71 0.52
O 2.46 -1.63 1.21
N -1.23 0.09 -2.09
O -1.33 0.24 -3.33
N -1.34 3.57 1.17
O -1.88 0.84 -1.24
O 1.34 -3.65 1.75
Cl 2.04 -2.84 0.87
O 1.35 -2.72 -0.46

Summary:
- 2S+1: 2
- Electronic energy: -1321.52765 a.u.
- ⟨S²⟩: 0.7567
- Total charge: -2
- LUMO (alpha / beta): 5.53 / 1.44 eV
- Orbital gap (alpha / beta): 8.17 / 3.57 eV

ORCA calculation (wB97M-V/def2-TZVPD) on a structure of composition ClNO3S in a non-equilibrium geometry.

Cartesian coordinates (Å):
N -1.26 -0.62 -0.32
Cl -1.03 1.25 -0.27
O -2.33 -1.05 -0.17
S 1.52 0.58 0.43
O 1.85 0.42 -0.91
O 1.25 -0.58 1.24

Summary:
- Electronic energy: -1138.75104 a.u.
- LUMO: -1.77 eV
- Orbital gap: 9.29 eV

ORCA calculation (wB97M-V/def2-TZVPD) on a cluster of 2 separate species, ClNO4S in total in a non-equilibrium geometry.

Cartesian coordinates (Å):
S -1.65 -0.54 -0.66
O -0.68 0.56 -0.61
O 2.11 1.57 1.29
Cl -1.96 -1.06 1.42
O -1.32 -1.73 -1.45
N 2.12 0.84 0.38
O 1.38 0.37 -0.37

Summary:
- Electronic energy: -1213.89502 a.u.
- LUMO (alpha / beta): -3.63 / -1.18 eV
- Orbital gap (alpha / beta): 6.14 / 9.61 eV

ORCA calculation (wB97M-V/def2-TZVPD) on the molecule ClNO4S in a non-equilibrium geometry.

Cartesian coordinates (Å):
N -0.82 0.23 0.76
S 0.45 -0.10 -0.62
Cl 1.99 -0.61 0.40
O -0.44 1.10 1.45
O -1.80 -0.41 0.74
O 0.70 1.16 -1.22
O -0.08 -1.38 -1.50

Summary:
- 2S+1: 3
- Electronic energy: -1213.76515 a.u.
- ⟨S²⟩: 2.0157
- LUMO (alpha / beta): -1.03 / -5.05 eV
- Orbital gap (alpha / beta): 6.74 / 6.56 eV

ORCA calculation (wB97M-V/def2-TZVPD) on the molecule ClNO5S in a non-equilibrium geometry.

Cartesian coordinates (Å):
Cl -1.78 1.51 1.99
O 1.90 -1.05 -0.04
O 1.25 0.90 -0.68
N 1.16 -0.21 -0.34
O -1.35 -0.36 -1.29
O -1.13 -1.34 1.05
O -0.60 1.45 0.84
S -0.71 -0.50 -0.01

Summary:
- SMILES string: O=[N+]([O-])S(=O)(=O)OCl
- Electronic energy: -1289.07094 a.u.
- LUMO: -2.03 eV
- Orbital gap: 8.45 eV

ORCA calculation (wB97M-V/def2-TZVPD) on the molecule ClOP.

Cartesian coordinates (Å):
P -0.31 -0.65 0.00
O -1.28 0.45 0.00
Cl 1.59 0.19 0.00

Summary:
- SMILES string: O=PCl
- Electronic energy: -876.82293 a.u.
- LUMO: -1.19 eV
- Orbital gap: 9.81 eV

ORCA calculation (wB97M-V/def2-TZVPD) on a structure of composition CoF2HO2P in a non-equilibrium geometry.

Cartesian coordinates (Å):
O 1.09 -0.42 0.08
Co 2.95 0.12 0.18
P -0.33 0.19 0.02
O -1.02 -1.19 0.00
F -0.64 1.08 1.26
F -0.53 1.08 -1.24
H 0.06 -1.78 0.05

Summary:
- 2S+1: 6
- Electronic energy: -2074.01411 a.u.
- ⟨S²⟩: 8.7616
- Total charge: +2
- LUMO (alpha / beta): -10.11 / -17.43 eV
- Orbital gap (alpha / beta): 9.11 / 7.16 eV

ORCA calculation (wB97M-V/def2-TZVPD) on a structure of composition CrI in a non-equilibrium geometry.

Cartesian coordinates (Å):
Cr 0.85 0.49 -1.08
I -0.85 -0.49 1.08
*/

in order to screen bad videos, prevent loss of information youtube has joined hands with wikipedia to add links to wikipedia's authentication information into the video.

youtube has announced a series of new features that will help improve livestream for creators, online users and viewers.

thanks to android users in markets like india, indonesia and brazil, google play store has set a record with more than 19 billion applications downloaded globally in the fourth

in the past 3 years, ryan has only opened toy boxes, played with them and made money from it. what are you doing with your life?

music video (mv) this place has the son of son tung m-tp leading the list of 10 most prominent music videos in 2017 on youtube in vietnam published by youtube rewind 2017.

google's video social network also entered the wave of 'stories'.

how to review all of the recent trends and events that caused storms in 2017? youtube rewind 2017, youtube's year-end clip is expected by many people, which is the answer to this

if you're using a video editing tool on youtube, then quickly complete it, because there will be one deadline for you.

**Inserted here: data records:**
ORCA calculation (wB97M-V/def2-TZVPD) on a 11-piece molecular cluster, C60H73N11O19 overall.

Computed properties:
Highest occupied orbital energy = -8.1 eV
SMILES = O=[N+]([O-])c1ccccc1.O=[N+]([O-])c1ccccc1.O=[N+]([O-])c1ccccc1.O=[N+]([O-])c1ccccc1.O=[N+]([O-])c1ccccc1.O=[N+]([O-])c1ccccc1.O=[N+]([O-])c1ccccc1.O=[N+]([O-])c1ccccc1.COC[C@H](C)N.COC[C@H](C)N.COC[C@H](C)N
ΔE to the lowest compared entry with this formula, charge and spin = 417.47 kJ/mol
Net charge = 0

Bonds (Å) are listed after each position.
Atoms and positions in Å:
1 C 8.44695 -2.00671 1.72838  C2 1.594, H7 1.090, H8 1.090, H9 1.090
2 C 6.97183 -2.58055 1.54113  C1 1.594, C3 1.600, N6 1.420, H10 1.090
3 C 5.78802 -1.60186 1.99065  C2 1.600, O4 1.440, H11 1.090, H12 1.090
4 O 5.78749 -1.33432 3.40552  C3 1.440, C5 1.425
5 C 4.60586 -0.66052 3.83136  O4 1.425, H13 1.090, H14 1.090, H15 1.090
6 N 6.86892 -2.89776 0.16063  C2 1.420, H16 1.010, H17 1.010
7 H 8.61295 -1.46752 2.66103  C1 1.090
8 H 8.78838 -1.36608 0.91528  C1 1.090
9 H 9.17279 -2.81975 1.74363  C1 1.090
10 H 6.81236 -3.49099 2.11886  C2 1.090
11 H 4.85194 -2.03296 1.63568  C3 1.090
12 H 5.96355 -0.64013 1.50859  C3 1.090
13 H 3.83674 -1.24728 4.33361  C5 1.090
14 H 4.18295 -0.20082 2.93810  C5 1.090
15 H 4.95702 -0.04687 4.66095  C5 1.090
16 H 6.72998 -2.03068 -0.33836  N6 1.010
17 H 7.77205 -3.26555 -0.10245  N6 1.010
18 C 4.13206 -4.26977 -3.08851  C19 1.598, H24 1.090, H25 1.090, H26 1.090
19 C 3.83279 -3.38511 -1.79188  C18 1.598, C20 1.531, N23 1.467, H27 1.090
20 C 2.34136 -3.19043 -1.50462  C19 1.531, O21 1.419, H28 1.090, H29 1.090
21 O 1.51889 -2.78663 -2.58785  C20 1.419, C22 1.383
22 C 0.16933 -2.77002 -2.28625  O21 1.383, H30 1.090, H31 1.090, H32 1.090
23 N 4.44457 -4.06231 -0.64346  C19 1.467, H33 1.010, H34 1.010
24 H 3.64938 -5.24574 -3.03770  C18 1.090
25 H 5.17018 -4.51041 -3.31763  C18 1.090
26 H 3.82943 -3.68069 -3.95425  C18 1.090
27 H 4.45383 -2.49122 -1.85000  C19 1.090
28 H 2.21649 -2.40764 -0.75645  C20 1.090
29 H 2.05296 -4.09569 -0.97036  C20 1.090
30 H -0.38691 -2.86502 -3.21882  C22 1.090
31 H -0.03463 -1.72918 -2.03496  C22 1.090
32 H -0.27943 -3.55804 -1.68147  C22 1.090
33 H 3.96788 -3.58946 0.11104  N23 1.010
34 H 5.39217 -3.76962 -0.45244  N23 1.010
35 C -1.66949 5.31017 1.33172  C36 1.574, H41 1.090, H42 1.090, H43 1.090
36 C -0.26351 5.82922 0.85007  C35 1.574, C37 1.601, N40 1.490, H44 1.090
37 C -0.28231 5.93948 -0.74666  C36 1.601, O38 1.487, H45 1.090, H46 1.090
38 O -0.49510 4.66238 -1.47743  C37 1.487, C39 1.437
39 C 0.19050 4.79023 -2.73388  O38 1.437, H47 1.090, H48 1.090, H49 1.090
40 N -0.06226 7.13757 1.53407  C36 1.490, H50 1.010, H51 1.010
41 H -1.83560 5.33713 2.40866  C35 1.090
42 H -1.76777 4.27076 1.01856  C35 1.090
43 H -2.37061 6.05224 0.94980  C35 1.090
44 H 0.46748 5.13335 1.26181  C36 1.090
45 H 0.70629 6.32186 -1.00071  C37 1.090
46 H -1.00877 6.69734 -1.03995  C37 1.090
47 H -0.03164 5.77570 -3.14330  C39 1.090
48 H -0.25091 4.08372 -3.43680  C39 1.090

youtube miniplayer is a new feature of the youtube application on the desktop, allowing users to play videos as a smaller player in the corner of the screen.

users can now know exactly how much time they spend on this video social network.

youtube has just launched youtube giving, a toolkit for youtuber and viewers to raise money for charity.

hi youtube red, this is a new paid service for youtube.

if you want to use the official youtube application on windows machines, you can now download youtube's pwa version application from the microsoft store store.

picture-in-picture is already available on mobile and macos via safari browser.

it seemed like it had been a long time, but now youtube for ios has been updated to watch videos along the way users want.

assertiveness, wisdom and humility are probably the most accurate words to describe susan wojcicki - youtube's ceo. not only that, susan wojcicki was honored by time magazine as

**The piece is interrupted by molecular data**
<<<
Entry 1:
Formula: C2H4N2OS
Source: the Open Molecules 2025 dataset
Level of theory: ωB97M-V/def2-TZVPD

Geometry as XYZ:
```
10
Properties=species:S:1:pos:R:3:mulliken_charge:R:1
N -0.914 0.515 -1.831 -0.5605
N -0.124 0.246 -0.720 -0.1511
C -0.660 -0.263 0.331 0.1126
O 0.125 -0.686 1.380 -0.2649
C 1.444 -0.504 1.355 -0.0040
S 2.311 -0.692 2.671 -0.2849
H -0.357 1.193 -2.356 0.2529
H -1.917 0.770 -1.701 0.2518
H -1.734 -0.466 0.470 0.3414
H 1.828 -0.113 0.402 0.3066
```

## Properties
net charge	0
structure (SMILES)	N/N=C/OC=S
energy relative to the best compared isomer or geometry (same formula, charge and spin)	298.6	kJ/mol
highest occupied orbital energy	-8.888	eV
energy	-661.4718	Eh

Entry 2:
Formula: C2H4N2OS
Source: the Open Molecules 2025 dataset
Level of theory: ωB97M-V/def2-TZVPD

Geometry as XYZ:
```
10
Properties=species:S:1:pos:R:3:mulliken_charge:R:1
C -0.443 -0.271 0.534 -0.3376
C 0.894 0.387 0.204 -0.4878
N -0.506 -0.575 1.939 -0.1519
N 0.428 -0.320 2.642 -0.1117
O 1.889 1.836 2.245 -0.5424
S 1.851 0.446 1.819 0.4610
H -1.307 0.364 0.325 0.2374
H -0.595 -1.215 0.005 0.2561
H 1.489 -0.203 -0.484 0.3467
H 0.799 1.410 -0.150 0.3303
```

## Properties
net charge	0
energy relative to the best compared isomer or geometry (same formula, charge and spin)	310.7	kJ/mol
highest occupied orbital energy	-9.047	eV
energy	-661.4672	Eh

Entry 3:
Formula: C2H4N2OS
Source: the Open Molecules 2025 dataset
Level of theory: ωB97M-V/def2-TZVPD

Geometry as XYZ:
```
10
Properties=species:S:1:pos:R:3:mulliken_charge:R:1
H 1.976 1.087 -1.368 0.2159
N 1.503 0.204 -1.488 -0.6354
C 0.611 0.121 -0.603 0.5489
N 0.310 0.941 0.517 -0.3015
S -1.306 0.710 1.066 -0.0524
C -1.041 -1.015 0.504 -0.2735
O -0.216 -0.931 -0.588 -0.3478
H 0.713 1.891 0.452 0.2880
H -0.549 -1.561 1.323 0.2687
H -1.999 -1.446 0.185 0.2889
```

## Properties
net charge	0
structure (SMILES)	[H]/N=C1\NSCO1
energy relative to the best compared isomer or geometry (same formula, charge and spin)	188.7	kJ/mol
highest occupied orbital energy	-8.636	eV
energy	-661.5137	Eh

Entry 4:
Formula: C2H4N2S
Source: the Open Molecules 2025 dataset
Level of theory: ωB97M-V/def2-TZVPD

Geometry as XYZ:
```
9
Properties=species:S:1:pos:R:3:mulliken_charge:R:1
C 1.171 -1.193 -0.077 -0.0306
C -1.249 0.594 -0.093 0.1253
N 1.756 -0.142 0.148 -0.4854
N -2.390 1.077 0.131 -0.5567
S -1.098 -1.170 0.135 -0.1887
H 1.604 -2.167 -0.270 0.3746
H -0.211 0.975 -0.408 0.2479
H 2.735 -0.107 0.424 0.2612
H -2.318 2.133 0.011 0.2525
```

## Properties
net charge	0
energy relative to the best compared isomer or geometry (same formula, charge and spin)	226.2	kJ/mol
highest occupied orbital energy	-8.975	eV
energy	-586.2083	Eh

Entry 5:
Formula: C2H4N2S
Source: the Open Molecules 2025 dataset
Level of theory: ωB97M-V/def2-TZVPD

Geometry as XYZ:
```
9
Properties=species:S:1:pos:R:3:mulliken_charge:R:1
C 2.429 0.408 0.551 -0.0089
C -1.852 -0.095 0.152 -0.5167
N 3.060 0.665 -0.396 -0.2531
N -0.693 -0.755 -0.313 -0.2187
>>>
**The molecular data stop here**

snapchat's ceo is the youngest and most crazy billionaire in the world of technology. but his success makes all the world have to recognize him as a genius.

it can be said that apple ceo steve jobs is always mentioned as an outstanding and visionary leader, however, he is also famous as a relatively strict, and even extreme, public.

because facebook is full of spam, games or fake news, not everyone clicks on every link they see. but if links from popular sites like youtube or instagram are more likely to make